Affiliated Engineers, Inc.
J.E.D. Installation
Johnson Controls
The Whiting-Turner Contracting Company
Wynn O. Jones & Associates, Inc.
H2I Group
Henderson Engineers, Inc.
Innovative Laboratory Systems
InSite Group, Inc.
Jorban-Riscoe Associates, Inc.
Here the article breaks off for materials data:
{"formula": "Pm5Nd3Cd", "functional": "PBE-GGA", "state": "relaxed", "vol_a3_per_cell": 640.30, "crystal_system": "monoclinic", "cell": [[6.962, 0.062, -0.831], [1.965, 6.679, -0.831], [1.685, 1.272, 13.492]], "species": ["Nd", "Nd", "Nd", "Nd", "Nd", "Nd", "Pm", "Pm", "Pm", "Pm", "Pm", "Pm", "Pm", "Pm", "Pm", "Pm", "Cd", "Cd"], "frac_coords": [[0.000, 0.000, 0.000], [0.000, 0.000, 0.500], [0.239, 0.239, 0.121], [0.635, 0.635, 0.490], [0.761, 0.761, 0.879], [0.365, 0.365, 0.510], [0.239, 0.239, 0.869], [0.673, 0.327, 0.000], [0.533, 0.981, 0.664], [0.327, 0.673, 0.000], [0.498, 0.498, 0.254], [0.981, 0.533, 0.664], [0.019, 0.467, 0.336], [0.502, 0.502, 0.746], [0.467, 0.019, 0.336], [0.761, 0.761, 0.131], [0.002, 0.002, 0.741], [0.998, 0.998, 0.259]]}



{"formula": "K3Pr2ScSe6", "functional": "PBE-GGA", "state": "relaxed", "vol_a3_per_cell": 363.35, "crystal_system": "monoclinic", "cell": [[7.388, -0.002, -0.002], [-3.694, 6.398, -0.002], [-1.234, -2.137, 7.691]], "species": ["Sc", "Pr", "Pr", "Se", "Se", "Se", "Se", "Se", "Se", "K", "K", "K"], "frac_coords": [[0.000, 0.000, 0.000], [0.666, 0.334, 0.000], [0.334, 0.666, 0.000], [0.931, 0.619, 0.794], [0.069, 0.381, 0.206], [0.381, 0.069, 0.206], [0.757, 0.757, 0.206], [0.243, 0.243, 0.794], [0.619, 0.931, 0.794], [0.169, 0.831, 0.500], [0.500, 0.500, 0.500], [0.831, 0.169, 0.500]]}



{"formula": "Sm2AlZn4Cu3", "functional": "PBE-GGA", "state": "relaxed", "vol_a3_per_cell": 179.98, "crystal_system": "tetragonal", "cell": [[-1.779, 3.608, -0.004], [-2.621, -1.290, 2.765], [6.853, 3.390, 8.078]], "species": ["Cu", "Cu", "Cu", "Zn", "Zn", "Zn", "Zn", "Sm", "Sm", "Al"], "frac_coords": [[0.500, 0.000, 0.862], [0.000, 0.000, 0.500], [0.000, 0.500, 0.138], [0.500, 0.500, 0.000], [0.000, 0.000, 0.000], [0.000, 0.500, 0.359], [0.500, 0.000, 0.641], [0.000, 0.500, 0.754], [0.500, 0.000, 0.246], [0.500, 0.500, 0.500]]}



Number 1: uncorrected energy -4.04 eV/atom. Number 2: uncorrected energy -5.03 eV/atom. Number 3: uncorrected energy -3.34 eV/atom.
KBS Constructors, Inc.
PGAV Architects

Chapter Sponsorship
The Heart of America I2SL Chapter seeks to be the leading resource in the Kansas City Metro Region to advance the design, construction, operation, and maintenance of environmentally-responsive laboratories and other high-technology environments.
Through quarterly tours and networking opportunities, I2SL Heart of America Chapter members will gain further insight into best practices and implementation of sustainable systems to move toward meeting the goal of technologically advanced, energy-efficient laboratories and high-tech facilities.
Previous Events Include:
Building Tours
Children’s Mercy Research Insitute
NextGen Precision Health
KC Crime Lab
Misplaced data records =
~~~
# Rb2Hg2Rh

A relaxed Rb2Hg2Rh crystal (PBE, Alexandria via LeMat-Bulk).

Unit cell a=10.8464 b=10.8464 c=10.8464 alpha=157.74 beta=157.74 gamma=31.68
Element x y z (fractional)
Rb  0.0927  0.0927  0.0000
Rb  0.9073  0.9073  0.0000
Hg  0.2500  0.7500  0.5000
Hg  0.7500  0.2500  0.5000
Rh  0.5000  0.5000  0.0000

Output
Energy relative to the elements (eV/atom): 0.44
Theoretical density (g/cm3): 6.1

***

# RbHg2RhS

A relaxed RbHg2RhS crystal (PBE, Alexandria via LeMat-Bulk).

Unit cell a=6.2478 b=6.2478 c=4.3143 alpha=90.00 beta=90.00 gamma=90.00
Element x y z (fractional)
Rb  0.0000  0.0000  0.0000
Hg  0.0000  0.5000  0.5000
Hg  0.5000  0.0000  0.5000
Rh  0.5000  0.5000  0.0000
S  0.5000  0.5000  0.5000

Output
Theoretical density (g/cm3): 6.1
Formation energy (no corrections) (eV per atom): 0.047

***

# RbHg2RhS

A relaxed RbHg2RhS crystal (PBE, Alexandria via LeMat-Bulk).

Unit cell a=5.4073 b=5.4073 c=4.7081 alpha=90.00 beta=90.00 gamma=90.00
Element x y z (fractional)
Rb  0.0000  0.0000  0.0000
Hg  0.0000  0.5000  0.5000
Hg  0.5000  0.0000  0.5000
Rh  0.5000  0.5000  0.5000
S  0.5000  0.5000  0.0000

Output
Theoretical density (g/cm3): 7.5
Formation energy (no corrections) (eV per atom): -0.253

***

# RbHgSb2Rh

A relaxed RbHgSb2Rh crystal (PBE, Alexandria via LeMat-Bulk).

Unit cell a=6.0683 b=6.0683 c=5.9355 alpha=90.00 beta=90.00 gamma=90.00
Element x y z (fractional)
Rb  0.0000  0.0000  0.0000
Hg  0.0000  0.0000  0.5000
Sb  0.0000  0.5000  0.0000
Sb  0.5000  0.0000  0.0000
Rh  0.5000  0.5000  0.5000

Output
Theoretical density (g/cm3): 4.8
Formation energy (no corrections) (eV per atom): 1.759

***

# RbSnHg2Rh

A relaxed RbSnHg2Rh crystal (PBE, Alexandria via LeMat-Bulk).

Unit cell a=5.4335 b=5.4335 c=5.0536 alpha=90.00 beta=90.00 gamma=90.00
Element x y z (fractional)
Rb  0.0000  0.0000  0.0000
Sn  0.5000  0.5000  0.0000
Hg  0.0000  0.5000  0.5000
Hg  0.5000  0.0000  0.5000
Rh  0.5000  0.5000  0.5000

Output
Energy relative to the elements (eV/atom): -0.20
Theoretical density (g/cm3): 7.9

***

# RbSrHg2Rh

A relaxed RbSrHg2Rh crystal (PBE, Alexandria via LeMat-Bulk).

Unit cell a=5.5125 b=5.5125 c=5.4439 alpha=90.00 beta=90.00 gamma=90.00
Element x y z (fractional)
Rb  0.0000  0.0000  0.0000
Sr  0.5000  0.5000  0.0000
Hg  0.0000  0.5000  0.5000
Hg  0.5000  0.0000  0.5000
Rh  0.5000  0.5000  0.5000

Output
Energy relative to the elements (eV/atom): -0.17
Theoretical density (g/cm3): 6.8


Record 1
Density functional theory data (PBE-GGA) for a relaxed TaInAsSe2 crystal.

The structure in POSCAR format:
```
TaInAsSe2
1.0
5.255 0.000 0.000
0.000 5.255 0.000
0.000 0.000 5.206
As In Se Ta
1 1 2 1
Cartesian
0.000 0.000 2.603
0.000 0.000 0.000
0.000 2.628 0.000
2.628 0.000 0.000
2.628 2.628 2.603
```
~~~
Here the article continues =
KUMC Health Education Building
KU Integrated Science Building
# Unrelated to this piece: data records
=====
A:
First-principles (PBE) data for a geometry-optimized CrTc3B structure, as listed in Alexandria via LeMat-Bulk.

abc: 4.383 4.383 4.383
angles: 90.00 90.00 90.00
Last column: magnetic moment on the atom in μB.
Fractional coordinates of all 5 atoms:
Tc 0.000 0.000 0.500  0.77
Cr 0.000 0.000 0.000  -0.27
Tc 0.500 0.000 0.000  0.76
Tc 0.000 0.500 0.000  0.72
B 0.500 0.500 0.500  -0.04

Output
The crystal system is cubic.

B:
First-principles (PBE) data for a geometry-optimized CrTc3B structure, as listed in Alexandria via LeMat-Bulk.

abc: 4.200 4.914 7.404
angles: 111.48 90.00 115.30
Fractional coordinates of all 10 atoms:
B 0.878 0.757 0.065
Cr 0.613 0.226 0.439
Tc 0.618 0.236 0.924
Cr 0.387 0.774 0.561
Tc 0.864 0.727 0.766
Tc 0.136 0.273 0.234
B 0.122 0.243 0.935
Tc 0.382 0.764 0.076
Tc 0.140 0.279 0.656
Tc 0.860 0.721 0.344

Output
The crystal system is monoclinic.

B (2007 meV per atom below the next structure)

A:
First-principles (PBE) data for a geometry-optimized Cr3TcB structure, as listed in Alexandria via LeMat-Bulk.

abc: 4.570 4.570 4.570
angles: 90.00 90.00 90.00
Last column: magnetic moment on the atom in μB.
Fractional coordinates of all 5 atoms:
Cr 0.000 0.000 0.500  2.54
Cr 0.000 0.500 0.000  2.81
Cr 0.500 0.000 0.000  3.28
B 0.500 0.500 0.500  -0.18
Tc 0.000 0.000 0.000  -0.79

Output
The crystal system is cubic.

B:
First-principles (PBE) data for a geometry-optimized Cr3TcB structure, as listed in Alexandria via LeMat-Bulk.

abc: 3.883 3.883 3.883
angles: 90.00 90.00 90.00
Fractional coordinates of all 5 atoms:
Cr 0.000 0.000 0.500
Tc 0.500 0.500 0.500
Cr 0.000 0.500 0.000
Cr 0.500 0.000 0.000
B 0.000 0.000 0.000

Output
The crystal system is cubic.

B (1833 meV per atom below the next structure)

A:
First-principles (PBE) data for a geometry-optimized CrTcB2 structure, as listed in Alexandria via LeMat-Bulk.

abc: 3.760 3.760 3.760
angles: 60.00 60.00 60.00
Fractional coordinates of all 4 atoms:
B 0.750 0.750 0.750
B 0.250 0.250 0.250
Tc 0.500 0.500 0.500
Cr 0.000 0.000 0.000

Output
The crystal system is cubic.

B:
First-principles (PBE) data for a geometry-optimized CrTcB2 structure, as listed in Alexandria via LeMat-Bulk.

abc: 5.498 5.498 4.733
angles: 54.49 54.49 90.00
Fractional coordinates of all 8 atoms:
Cr 0.500 0.500 0.000
B 0.136 0.625 0.250
Cr 0.250 0.750 0.500
B 0.375 0.386 0.750
Tc 0.000 0.000 0.000
B 0.614 0.125 0.250
B 0.875 0.864 0.750
Tc 0.750 0.250 0.500

Output
The crystal system is tetragonal.

A (63 meV per atom below the next structure)

A:
First-principles (PBE) data for a geometry-optimized CrBTe3 structure, as listed in Alexandria via LeMat-Bulk.

abc: 4.785 4.785 4.785
angles: 90.00 90.00 90.00
Last column: magnetic moment on the atom in μB.
Fractional coordinates of all 5 atoms:
Te 0.000 0.000 0.500  0.04
Te 0.500 0.000 0.000  0.01
B 0.000 0.000 0.000  0.02
Cr 0.500 0.500 0.500  -0.34
Te 0.000 0.500 0.000  0.05

Output
The crystal system is cubic.

B:
=====
# So much for the data records
Monitoring-Based Commissioning at Stowers Institute
Airflow Measurement for Labs
Meet the Scientist: Dr. O’Rourke
Project Spotlight Presentations
Annual Socials
Hosted I2SL National Conference in 2016
Sponsorship of the Heart of America Chapter of I2SL is currently available.
Your company will benefit from the exposure to leaders in the regional laboratory and high technology market provided through this sponsorship.
Annual Sponsorship
All sponsors will be featured in meeting announcements and correspondence for 12 months. In addition, the following benefits apply:
Platinum - $1,000
Each Platinum sponsor will be selected as “lead” sponsor of one event.
Additional opportunity to provide promotional materials at events.
Additional speaking opportunity at event.
Company logo and a link to website displayed prominently on the I2SL Heart of America website.
Annual thank you advertised on LinkedIn and email.
Recognition in all announcements and promotions.
Gold - $500
Company logo and a link to website displayed on the I2SL Heart of America website.
Annual thank you advertised on LinkedIn and email.
Recognition in all announcements and promotions.
To be a sponsor, please complete the form at the bottom of this page, and return your payment as noted…
If you have any questions or would like to discuss how you can further participate with the Heart of America I2SL Chapter, please to not hesitate to contact us at the emails below.
Best Regards - The Heart of America I2SL 2025 Chapter Officers
President, Mark Snyder, Jorban Riscoe, MarkSnyder@jorban-riscoe.com
President Emeritus, Patrick Kantor, The Whiting-Turner Contracting Co., Patrick.Kantor@whiting-turner.com
Vice President, Danny McGrail, Henderson Engineers, Danny.McGrail@HendersonEngineers.com
Treasurer, Sean Reardon, KBS SeanReardon@kbsci.com
Secretary, Chris Sharp, Clark & Enersen, Chris.Sharp@clarkenersen.com
Communications, Shelby Bicknell, Henderson Engineers, Shelby.Bicknell@HendersonEngineers.com
Member-At-Large, Adam Neth, InSite Group, adam@insitegroup.net
Member-At-Large, Dennis Mertz, J.E.D. Installation, dennis@jedinstallation.com
Member-At-Large, Kenneth Keane, University of Missouri, keaneke@missouri.edu